Type out only the last part of the entries further down, starting with the line that has "2.9388 -0.1014".

~~~
This record from OMol25 describes a 2-piece molecular cluster, C5H13NO2 overall at a distorted geometry. The level of theory is the ωB97M-V functional and the def2-TZVPD basis.

Cartesian coordinates (Å):
1 O 0.9093 -0.1243 -0.4982
2 C -0.2065 0.0708 -1.0588
3 N -1.3450 -0.2568 -0.4364
4 C 0.4541 -0.3111 -3.4878
5 C -1.1427 0.3360 1.8591
6 C -0.2290 0.6271 -2.4708
7 C -1.5089 -0.7847 0.9320
8 H -2.2556 -0.2330 -0.9020
9 H 0.3946 -1.3566 -3.1415
10 H 1.5168 -0.0346 -3.5908
11 H -0.0253 -0.2410 -4.4787
12 H -0.0610 0.5515 1.8506
13 H -1.4443 0.0898 2.8911
14 H -1.6845 1.2426 1.5410
15 H -1.2981 0.8436 -2.6595
16 H 0.3260 1.5820 -2.5451
17 H -0.8143 -1.6168 1.1567
18 H -2.5411 -1.1742 1.0222
19 O 3.9074 0.0217 4.8655
20 H 4.1095 0.8693 4.4085
21 H 2.9388 -0.1014 4.7430

Cartesian forces (eV/Å) of the 3 atoms listed first:
O -2.23 0.41 -0.87
C 3.82 -0.47 1.06
N -2.28 -0.90 -0.30

Results
**Structure (SMILES)**: CCNC(=O)CC.O
**E_LUMO**: 0.73 eV
**Total charge**: 0
**Energy above the lowest of the compared OMol25 structures with the same formula, charge and spin**: 86.4 kJ/mol
**Frontier orbital gap**: 10.165 eV

This record from OMol25 describes C6H14O3Tl as an isolated structure at a distorted geometry. The level of theory is the ωB97M-V functional and the def2-TZVPD basis.

Cartesian coordinates (Å):
1 H 0.3277 2.6398 -0.8212
2 C 3.2406 1.0497 0.4014
3 O 2.0929 0.3302 -0.0290
4 C 2.2597 -1.0836 -0.1435
5 C 0.9646 -1.6466 -0.5877
6 O -0.0666 -1.2596 0.2052
7 C -1.3921 -1.6741 -0.1329
8 C -2.3177 -0.5905 0.3610
9 O -1.8460 0.6572 -0.1422
10 C -2.7498 1.7401 0.0727
11 H 2.9188 2.0799 0.5842
12 H 3.6273 0.6007 1.3267
13 H 4.0077 1.0271 -0.3841
14 H 2.5491 -1.4668 0.8526
15 H 3.0440 -1.2984 -0.8834
16 H 0.8256 -2.4183 -1.3444
17 H -1.6042 -2.6226 0.3751
18 H -1.4911 -1.8022 -1.2190
19 H -2.3313 -0.5533 1.4607
20 H -3.3341 -0.7777 -0.0126
21 H -2.3103 2.6277 -0.3944
22 H -3.7150 1.5054 -0.3942
23 H -2.8816 1.9148 1.1495
24 Tl 0.1817 1.0212 -0.3003

Cartesian forces (eV/Å) of the 3 atoms listed first:
H -0.05 -0.18 0.09
C 1.18 0.79 0.44
O 1.18 -1.08 0.22

Results
**E_LUMO (spin up / spin down)**: -8.68 / -8.76 eV
**Total charge**: +2
**2S+1**: 2
**Frontier orbital gap (spin up / spin down)**: 7.766 / 10.637 eV

This record from OMol25 describes an isolated molecule of C4H10OS at a distorted geometry. The level of theory is the ωB97M-V functional and the def2-TZVPD basis.

Cartesian coordinates (Å):
1 C -1.5985 1.1294 0.6552
2 C 0.8801 -1.7428 -0.2174
3 C -0.8129 0.0836 -0.1084
4 C 0.5525 -0.3704 0.4339
5 O -0.4901 0.7372 -1.3706
6 S 1.9061 0.9453 0.0567
7 H -0.8822 2.0350 0.9330
8 H -2.0703 0.8498 1.5685
9 H -2.2544 1.7077 -0.0342
10 H 0.1239 -2.3746 0.1857
11 H 0.9916 -1.6417 -1.2709
12 H 1.8538 -2.1735 0.3129
13 H -1.5037 -0.7453 -0.3845
14 H 0.6510 -0.3082 1.5301
15 H 0.3721 1.2286 -1.0404
16 H 2.2808 0.6398 -1.2497

Cartesian forces (eV/Å) of the 3 atoms listed first:
C 1.87 3.23 -0.04
C 2.80 0.53 3.76
C -0.48 1.43 -1.64

Results
**Structure (SMILES)**: C[C@@H](O)[C@@H](C)S
**E_LUMO**: 0.74 eV
**Total charge**: 0
**Energy above the lowest of the compared OMol25 structures with the same formula, charge and spin**: 117.5 kJ/mol
**Frontier orbital gap**: 10.403 eV

This record from OMol25 describes an isolated molecule of C4H7IO. The level of theory is the ωB97M-V functional and the def2-TZVPD basis.

Cartesian coordinates (Å):
1 I -2.0053 -1.1049 1.8135
2 C -1.2870 -0.1696 0.0016
3 C -0.0495 -0.9091 -0.5215
4 C 1.0747 -0.1637 0.1982
5 C 0.5220 1.2476 0.0988
6 O -0.8843 1.1333 0.3168
7 H -2.1017 -0.1305 -0.7129
8 H 0.0407 -0.7643 -1.5978
9 H -0.1297 -1.9595 -0.2644
10 H 2.0113 -0.2004 -0.3539
11 H 1.1750 -0.5568 1.2058
12 H 0.6728 1.5817 -0.9346
13 H 0.9610 1.9963 0.7504

Cartesian forces (eV/Å) of the 3 atoms listed first:
I -0.25 -0.15 0.09
C 0.56 0.43 -0.26
C -0.25 0.01 0.48

Results
**Structure (SMILES)**: I[C@@H]1CCCO1
**E_LUMO**: 0.66 eV
**Total charge**: 0
~~~

21 H 2.9388 -0.1014 4.7430

Cartesian forces (eV/Å) of the 3 atoms listed first:
O -2.23 0.41 -0.87
C 3.82 -0.47 1.06
N -2.28 -0.90 -0.30

Results
**Structure (SMILES)**: CCNC(=O)CC.O
**E_LUMO**: 0.73 eV
**Total charge**: 0
**Energy above the lowest of the compared OMol25 structures with the same formula, charge and spin**: 86.4 kJ/mol
**Frontier orbital gap**: 10.165 eV

This record from OMol25 describes C6H14O3Tl as an isolated structure at a distorted geometry. The level of theory is the ωB97M-V functional and the def2-TZVPD basis.

Cartesian coordinates (Å):
1 H 0.3277 2.6398 -0.8212
2 C 3.2406 1.0497 0.4014
3 O 2.0929 0.3302 -0.0290
4 C 2.2597 -1.0836 -0.1435
5 C 0.9646 -1.6466 -0.5877
6 O -0.0666 -1.2596 0.2052
7 C -1.3921 -1.6741 -0.1329
8 C -2.3177 -0.5905 0.3610
9 O -1.8460 0.6572 -0.1422
10 C -2.7498 1.7401 0.0727
11 H 2.9188 2.0799 0.5842
12 H 3.6273 0.6007 1.3267
13 H 4.0077 1.0271 -0.3841
14 H 2.5491 -1.4668 0.8526
15 H 3.0440 -1.2984 -0.8834
16 H 0.8256 -2.4183 -1.3444
17 H -1.6042 -2.6226 0.3751
18 H -1.4911 -1.8022 -1.2190
19 H -2.3313 -0.5533 1.4607
20 H -3.3341 -0.7777 -0.0126
21 H -2.3103 2.6277 -0.3944
22 H -3.7150 1.5054 -0.3942
23 H -2.8816 1.9148 1.1495
24 Tl 0.1817 1.0212 -0.3003

Cartesian forces (eV/Å) of the 3 atoms listed first:
H -0.05 -0.18 0.09
C 1.18 0.79 0.44
O 1.18 -1.08 0.22

Results
**E_LUMO (spin up / spin down)**: -8.68 / -8.76 eV
**Total charge**: +2
**2S+1**: 2
**Frontier orbital gap (spin up / spin down)**: 7.766 / 10.637 eV

This record from OMol25 describes an isolated molecule of C4H10OS at a distorted geometry. The level of theory is the ωB97M-V functional and the def2-TZVPD basis.

Cartesian coordinates (Å):
1 C -1.5985 1.1294 0.6552
2 C 0.8801 -1.7428 -0.2174
3 C -0.8129 0.0836 -0.1084
4 C 0.5525 -0.3704 0.4339
5 O -0.4901 0.7372 -1.3706
6 S 1.9061 0.9453 0.0567
7 H -0.8822 2.0350 0.9330
8 H -2.0703 0.8498 1.5685
9 H -2.2544 1.7077 -0.0342
10 H 0.1239 -2.3746 0.1857
11 H 0.9916 -1.6417 -1.2709
12 H 1.8538 -2.1735 0.3129
13 H -1.5037 -0.7453 -0.3845
14 H 0.6510 -0.3082 1.5301
15 H 0.3721 1.2286 -1.0404
16 H 2.2808 0.6398 -1.2497

Cartesian forces (eV/Å) of the 3 atoms listed first:
C 1.87 3.23 -0.04
C 2.80 0.53 3.76
C -0.48 1.43 -1.64

Results
**Structure (SMILES)**: C[C@@H](O)[C@@H](C)S
**E_LUMO**: 0.74 eV
**Total charge**: 0
**Energy above the lowest of the compared OMol25 structures with the same formula, charge and spin**: 117.5 kJ/mol
**Frontier orbital gap**: 10.403 eV

This record from OMol25 describes an isolated molecule of C4H7IO. The level of theory is the ωB97M-V functional and the def2-TZVPD basis.

Cartesian coordinates (Å):
1 I -2.0053 -1.1049 1.8135
2 C -1.2870 -0.1696 0.0016
3 C -0.0495 -0.9091 -0.5215
4 C 1.0747 -0.1637 0.1982
5 C 0.5220 1.2476 0.0988
6 O -0.8843 1.1333 0.3168
7 H -2.1017 -0.1305 -0.7129
8 H 0.0407 -0.7643 -1.5978
9 H -0.1297 -1.9595 -0.2644
10 H 2.0113 -0.2004 -0.3539
11 H 1.1750 -0.5568 1.2058
12 H 0.6728 1.5817 -0.9346
13 H 0.9610 1.9963 0.7504

Cartesian forces (eV/Å) of the 3 atoms listed first:
I -0.25 -0.15 0.09
C 0.56 0.43 -0.26
C -0.25 0.01 0.48

Results
**Structure (SMILES)**: I[C@@H]1CCCO1
**E_LUMO**: 0.66 eV
**Total charge**: 0